
Mandatory Halal, Here are 3 Steps LPPOM MUI Takes to Help Street Vendors

Wajib Halal, Ini 3 Langkah LPPOM MUI Bantu Pedagang Kaki Lima

**Someone pasted calculated crystals at this point:**
'''
Entry 1:
The following is a computed XRD peak list of CrTcAs4. It was derived from a PBE-relaxed structure, using copper Kα.

The 10 most intense peaks (2θ from 10° to 90°), by angle:
hkl	two_theta	I (rel.)
2 0 0	20.75	67
2 2 0	29.51	15
3 1 0	33.08	22
2 0 2	35.55	100
4 0 0	42.22	60
3 1 2	44.25	56
3 3 2	54.08	38
4 2 2	56.35	35
5 3 0	63.33	16
4 0 4	75.27	20

```
data_CrTcAs4
_chemical_formula_sum 'Cr4 Tc4 As16'
_symmetry_space_group_name_H-M 'I 41 m d'
_symmetry_Int_Tables_number 109
_symmetry_space_group_name_Hall 'I 4bw -2'
_cell_length_a 8.563
_cell_length_b 8.563
_cell_length_c 6.253
_cell_angle_alpha 90.00
_cell_angle_beta 90.00
_cell_angle_gamma 90.00
loop_
_atom_site_label
_atom_site_type_symbol
_atom_site_fract_x
_atom_site_fract_y
_atom_site_fract_z
Cr1 Cr 0.000 0.000 0.000
Tc1 Tc 0.000 0.000 0.500
As1 As 0.000 0.215 0.760
As2 As 0.000 0.218 0.242
```

=====

Entry 2:
The following is a computed XRD peak list of Cu3BiSe2ClO8. It was derived from a PBE-relaxed structure, using copper Kα.

The 10 most intense peaks (2θ from 10° to 90°), by angle:
hkl	two_theta	I (rel.)
0 1 1	15.12	64
1 1 0	16.53	95
1 2 1	25.96	97
1 1 2	29.53	49
0 2 2	30.49	100
1 3 0	30.80	51
2 2 0	33.42	45
2 2 1	35.66	45
1 3 2	39.61	35
2 4 2	53.38	45

```
data_Cu3BiSe2ClO8
_chemical_formula_sum 'Cu6 Bi2 Se4 Cl2 O16'
_symmetry_space_group_name_H-M 'P m m n'
_symmetry_Int_Tables_number 59
_cell_length_a 6.415
_cell_length_b 9.767
_cell_length_c 7.327
_cell_angle_alpha 90.00
_cell_angle_beta 90.00
_cell_angle_gamma 90.00
loop_
_symmetry_equiv_pos_as_xyz
'x,y,z'
'-x,-y,-z'
'-x+1/2,-y+1/2,z'
'x+1/2,y+1/2,-z'
'x+1/2,-y,-z'
'-x+1/2,y,z'
'-x,y+1/2,-z'
'x,-y+1/2,z'
loop_
_atom_site_label
_atom_site_type_symbol
_atom_site_fract_x
_atom_site_fract_y
_atom_site_fract_z
Cu1 Cu 0.000 0.000 0.000
Cu2 Cu 0.250 0.250 0.206
Bi1 Bi 0.250 0.250 0.752
Se1 Se 0.250 0.557 0.391
Cl1 Cl 0.250 0.750 0.846
O1 O 0.038 0.584 0.245
O2 O 0.250 0.114 0.008
O3 O 0.250 0.118 0.411
```

=====

Entry 3:
The following is a computed XRD peak list of GaCuTe. It was derived from a PBE-relaxed structure, using copper Kα.

The 10 most intense peaks (2θ from 10° to 90°), by angle:
hkl	two_theta	I (rel.)
0 0 6	18.16	33
0 1 2	25.58	51
0 0 9	27.38	18
1 0 4	27.70	28
0 1 5	29.20	100
0 1 11	42.26	52
1 1 0	43.74	94
1 0 13	47.67	56
2 0 5	53.46	18
2 1 13	83.19	18

```
data_GaCuTe
_chemical_formula_sum 'Ga6 Cu6 Te6'
_symmetry_space_group_name_H-M 'R 3 m'
_symmetry_Int_Tables_number 160
_symmetry_space_group_name_Hall 'R 3 -2"'
_cell_length_a 4.1392
_cell_length_b 4.1392
_cell_length_c 29.3136
_cell_angle_alpha 90.00
_cell_angle_beta 90.00
_cell_angle_gamma 120.00
loop_
_atom_site_label
_atom_site_type_symbol
_atom_site_fract_x
_atom_site_fract_y
_atom_site_fract_z
Ga1 Ga 0.0000 0.0000 0.0000
Ga2 Ga 0.0000 0.0000 0.4116
Cu1 Cu 0.0000 0.0000 0.3298
Cu2 Cu 0.0000 0.0000 0.6187
Te1 Te 0.0000 0.0000 0.2437
Te2 Te 0.0000 0.0000 0.7898
```

=====

Entry 4:
'''
**The calculated crystals stop here:**

Street vendors whose products must have halal certificates are included in the category. This provision is in accordance with the direction of BPJPH. Seeing the concerns of street vendors, LPPOM MUI has made a number of efforts to help street vendors obtain halal certification.

The Government, through the Halal Product Assurance Agency (BPJPH), is currently requiring mandatory halal certification regulations for all products circulating in Indonesia, except for products that are indeed prohibited. This is stated in Act No. 33 of 2014 concerning Halal Product Assurance (UU JPH) and its derivatives, the latest of which is Act No. 6 of 2023. This applies to all business scales without exception, from micro to large businesses.

The nearest mandatory halal certification phase-out period will expire on October 17, 2024, this applies to food and beverage products. Unfortunately, not only the final food and beverage products but all materials involved must also be halal certified, such as raw materials, food additives, and auxiliary materials. In addition, slaughtering services and slaughtered products are also included in the halal certification obligations.

Meanwhile, business actors who do not implement these regulations will be subject to administrative sanctions in the form of written warnings, administrative fines, revocation of halal certificates, and/or withdrawal of goods from circulation. This is stated in Government Regulation No. 39 of 2021 Article 149. In terms of determining administrative fines, business actors can be subject to a maximum of IDR 2,000,000,000.00 (two billion rupiah).

What about street vendors?

Street vendors, to be more specific, are traders who sell on the front porch (veranda) of a shop or the side of the road (on the sidewalk). Of course, various products are sold. In relation to the mandatory halal of October 17, 2024, street vendors related to this regulation are those who sell food and beverages.

In this case, LPPOM MUI has made various efforts that can directly or indirectly encourage the realization of halal certification for micro-business actors such as street vendors. First, have 34 representative offices. LPPOM MUI’s readiness is supported by the spread of 34 LPPOM MUI representative offices throughout the provinces in Indonesia. Of course, this spread makes it easier for street vendors to get their products halal-certified.

Second, certification of raw material producers. “LPPOM MUI’s efforts to certify downstream industries that produce raw materials/additional materials that are widely used by micro business actors, including street vendors, indirectly support UMK certification. The availability of raw halal materials will facilitate the certification process for micro business products,” explained the President Director of LPPOM MUI, Muti Arintawati.

Third, corporate social responsibility (CSR) program. Another effort, LPPOM MUI always holds a CSR program called the Syawal Festival. The program, which has been routinely promoted for the past three years, is a concrete effort by LPPOM MUI to help the Government succeed in implementing the regulations proposed by the Government. In addition, this is also a form of LPPOM MUI’s concern for micro business actors in terms of regulatory compliance and providing added value to their products.

The forms of Syawal Festival activities vary, ranging from technical guidance and webinars to facilitating free halal certification or subsidies for micro and small business actors. This year, free halal certification facilitation through the Syawal Festival program will be held again, targeting micro-business actors in favorite tourist destinations. This is none other than to support the economic growth of the local community through halal tourism.

Not only that, during 2023, LPPOM MUI has collaborated on facilitating halal certification with more than 70 halal stakeholders, both banking, government agencies, BUMN, and the private sector, both at the national, provincial, and district/city levels spread throughout Indonesia. A total of 8,250 MSME actors have been facilitated with halal certification through LPPOM MUI. (YN)